Together those four words are making a big impact.
The “Shed a Little Light” initiative was started last fall after deep conversations in the Athletics Department about racial injustice in the wake of the May 2020 killing of George Floyd, who died while being physically restrained by Minneapolis police. As a result of those talks, Athletics formed two groups:
- The Athletics Alliance 4 Change, comprising athletic coaches and staff who have developed four key pillars – education, exposure, empathy and equity – to guide their work.
- The Student-Athlete Advisory Committee’s (SAAC) Racial Justice Workgroup, consisting of student-athletes who lead discussions and engagement on diversity, equity and inclusion (DEI) issues.
Both groups came together to create “Shed A Little Light,” named after a James Taylor song about peace and unity. In a few short months, the initiative has generated increased DEI dialogue, voter registration initiatives, educational opportunities and the creation of a pre-national anthem statement read at sporting events to recognize that the American experience has not been the same for everyone under the flag.
“Shed a Little Light,” shows that the groups are committed for the long haul, said Senior Associate Athletic Director, Student-Athlete Welfare and Development Jemal Griffin.
“We tried to strategically think about a way that everyone could get involved, something that everyone could get behind, something that was clear, concise and gave a directive,” said Griffin, who also recently took on the role of DEI coordinator in the department. “We talked a lot about the word ‘little’ in ‘Shed a Little Light’ because we didn't want people to feel like this is something they had to take on all by themselves.”
The increased focus on DEI efforts has impacted those in Athletics across the board, from learning about the history of racism to strengthening team bonds through open and honest conversations.
Leading a team in DEI
For men’s soccer coach Jon Lowery, the fall 2020 soccer season was an unprecedented one. While his team couldn’t play a single game due to COVID-19 restrictions last fall, they were able to focus on creating a culture of inclusion on and off the field. That meant a lot of discussion, education and listening.
Lowery credits his increased knowledge of Black history to an all-staff meeting featuring a discussion on the history of racism in America led by Dr. Yohuru Williams, distinguished university chair and professor of history and founding director of the Racial Justice Initiative.
“There have been times in this process as a 44-year-old dad, husband and coach, I've been embarrassed about what I don't know,” Lowery said. “I've been very truthful with my team and saying I can't believe I wasn't aware.”
The discussions and learning opportunities have helped foster a sense of open-mindedness, empathy and self-reflection among his colleagues and student-athletes, leading them all to ask how they can do better when it comes to inclusivity, he noted.
"We've talked about diversity and inclusion as it relates to all members – no matter what they look like or where they come from – being welcomed into our program with open arms and a kind heart," Lowery said. "We've talked about things that could make it a better environment for someone, from the music played in the locker room and the words we use, to how we treat each other. Our differences add to the richness of our culture and our program."
The recently released St. Thomas 2025 strategic plan highlights the importance of the athletics program, especially as it builds greater national awareness with St. Thomas’ upcoming historic move to Division I. So far, more than 150 student-athletes from 14 states and three countries have been recruited for the fall season.
When he’s recruiting soccer players, Lowery openly talks to them about DEI expectations for student-athletes.
“I've made it clear to players who are coming into our program that this is what's important to us and these are our values and standards,” Lowery said.
The student-athlete perspective
Women’s basketball player Kaia Porter chairs SAAC’s Racial Justice Group. She said student-athletes are in a unique position to use their voices as leaders both on and off the court. Porter and her teammates have had discussions about the role they need to play in creating a more inclusive and accepting environment. These dialogues, she said, have made the team more unified.
"A lot of times people don't want to talk about things because it can be super uncomfortable,” Porter said. “But people are coming to the table and talking about challenging issues. And it's messy, but that's the only way you're ever going to make progress.”
**Next to the text, the page also holds calculated molecules:**
<<<
one.
C2ClN5 | ωB97M-V with the def2-TZVPD basis set

Atoms and positions in Å:
C1 1.4363 -1.2201 -0.0121
C2 1.0766 0.0407 0.0445
N1 1.5177 -2.3946 -0.0482
N2 -1.0578 -0.0589 0.0852
N3 1.0343 1.2386 0.0940
N4 -1.1514 1.1797 -0.0900
N5 -0.1776 1.9861 -0.0957
Cl1 -2.6782 -0.7714 0.0223

## Properties
**LUMO energy**: -2.27 eV
**Multiplicity**: 1

***

two.
C2ClN5 | ωB97M-V with the def2-TZVPD basis set

Atoms and positions in Å:
N1 1.8443 1.9353 -0.2071
C1 1.1824 1.0472 0.0226
C2 0.2904 -0.4214 0.0811
Cl1 1.4884 -1.7235 0.0464
N2 -0.6029 -0.2832 -1.1039
N3 -1.7539 -0.1527 -0.7099
N4 -1.7772 -0.0960 0.7066
N5 -0.6716 -0.3057 1.1642

## Properties
**LUMO energy**: -2.34 eV
**Structure (SMILES)**: N#CC1(Cl)N=NN=N1
**Multiplicity**: 1

***

Which one is most stable, and which one is least stable? two is the most stable of them, while one is the least stable.

***

one.
C4H10N2OS | ωB97M-V with the def2-TZVPD basis set

Atoms and positions in Å:
C1 0.2438 0.2852 2.8612
S1 -0.0030 0.6135 1.1740
O1 -0.8501 1.6913 0.8585
N1 -0.7619 -0.8292 0.5916
C2 -1.2360 -0.6625 -0.7620
C3 -0.0073 -0.6160 -1.6454
C4 0.9022 0.5963 -1.2981
N2 1.3264 0.4858 0.1038
H1 0.4890 1.2207 3.2924
H2 0.9370 -0.5227 2.8309
H3 -1.5205 -1.0028 1.1855
H4 -1.8110 0.2438 -1.0962
H5 -1.9128 -1.4704 -1.1003
H6 0.5773 -1.5003 -1.6066
H7 -0.2682 -0.5246 -2.8326
H8 1.9094 0.8452 -1.7287
H9 0.2061 1.5078 -1.3499
H10 1.7795 -0.3612 0.5218

## Properties
**LUMO energy**: 0.75 eV
**Structure (SMILES)**: C=S1(=O)NCCCN1
**Multiplicity**: 1

***

two.
C4H10N2OS | ωB97M-V with the def2-TZVPD basis set

Atoms and positions in Å:
C1 3.6457 0.8382 -0.4477
N1 2.2685 0.0521 -0.3791
N2 1.8708 -0.0924 0.9002
C2 0.6985 -0.4952 0.8625
O1 0.1531 -1.0773 -0.1598
C3 -1.2690 -1.1265 -0.0271
S1 -2.2674 0.1630 -0.6826
C4 -2.5572 1.3469 0.5857
H1 3.7099 2.1212 -0.2490
H2 4.3726 0.3704 0.3922
H3 4.1283 0.4576 -1.4898
H4 1.5532 -0.1795 -1.2355
H5 0.2172 -0.8950 1.8692
H6 -1.5137 -1.3452 1.1495
H7 -1.2663 -2.1627 -0.6441
H8 -2.7986 0.6354 1.5553
H9 -3.7514 1.8760 0.4508
H10 -1.6818 2.0332 0.9130

## Properties
**LUMO energy**: 0.71 eV
**Structure (SMILES)**: CN/N=C\OCSC
**Multiplicity**: 1

***

Which one is most stable, and which one is least stable? one is the most stable of them, while two is the least stable.

***

one.
C4H10N2OS | ωB97M-V with the def2-TZVPD basis set

Atoms and positions in Å:
C1 -1.0677 1.6504 1.1125
N1 -1.0726 2.3529 -0.1754
C2 1.1826 -1.0306 -0.2256
C3 1.4056 0.1379 -0.9259
S1 2.2152 1.4774 0.0042
C4 -0.1544 -1.6826 -0.3291
N2 -0.2435 -2.8387 0.4766
O1 -1.0999 -1.2418 -0.9386
H1 -1.9429 1.0221 1.2510
H2 -1.0398 2.3648 1.9397
H3 -0.1457 1.0648 1.2149
H4 -0.2020 2.3326 -0.5905
H5 1.7977 -1.4007 0.5817
H6 2.1555 0.1349 -1.7332
H7 0.4926 0.4517 -1.4256
H8 -1.7756 1.9857 -0.7811
H9 -1.0766 -3.3680 0.2464
H10 0.5716 -3.4127 0.2981

## Properties
**LUMO energy**: -2.95 eV
**Multiplicity**: 1

***

two.
C4H10N2OS | ωB97M-V with the def2-TZVPD basis set

Atoms and positions in Å:
>>>
**The text goes on:**
Junior Jack Nasby, SAAC president and captain of the men’s golf team, said developing a better understanding of where someone is coming from helps build stronger bonds.
“There's no way I'm able to advance my understanding of other people if I'm not listening,” Nasby said. “Part of that empathy piece is being able to listen to one another and trying to understand even though you haven't been in a similar situation. Continuing to be a listener, not only for me, but also for my peers, is something that'll be very helpful and worthwhile down the road.”
Griffin said he wants student-athletes to realize how vital a holistic education is to their growth as a person.
“It's important to me that they understand how to be knowledgeable before expressing opinions,” Griffin said. “Our job is to teach them how to think critically and to educate themselves while they're building who they are and shaping their opinions.”
Moving forward
Vice President and Director of Athletics Phil Esten said student-athletes, coaches and staff have embraced the “Shed a Little Light” initiative in a variety of ways.
“I'm really proud of the way that staff, coaches and student-athletes have responded since the killing of George Floyd,” he said. “We’ve engaged in very thoughtful dialogue around some really difficult topics. We’re at a place where our coaches and staff are comfortable having these difficult conversations because we all collectively know we have a lot of work to do.”
Esten noted DEI has been integrated into the department’s strategic plan and DEI metrics will be included in all program and staff annual evaluations. He also said in fall, all incoming student-athletes will be required to complete the online educational series Becoming Human: Dismantling Racism. The self-paced course, created by St. Thomas and made available to the public through its Continuing and Professional Education (CAPE) division, confronts the legacy of white supremacy and helps people understand how they can engage more humanly in the world.
For student-athletes Porter and Nasby, the DEI discussions they’ve been having aren’t going to stop after graduation. Porter, a biology major, intends on going into health care in the future.
“There's so much you can talk about in terms of the injustice that happens within the health care system,” she said. “I want to learn more about that. If I want to be a health care provider someday, I want to do it in a way that I can give the best care to all my patients. And that's going to mean a lot of different things for a lot of different people.”
Nasby, a finance and real estate major, has even noticed during a recent internship search that there is an increased emphasis on DEI at major corporations.
"It’s a big question in interviews – ‘What are you doing within social justice or racial equity?’” he said. “It was something that was cool to see happening throughout that process.”